Formula: C52H82F21N7O24S7
Source: the OMol25 dataset
Level of theory: wB97M-V/def2-TZVPD

Structure (XYZ):
```
193
C52H82F21N7O24S7 wB97M-V/def2-TZVPD
C 2.7905 10.4383 -1.3140
H 0.8616 9.5958 -1.1796
N -10.4351 -5.7862 3.2074
C -11.6732 -6.5343 3.3315
H 2.7207 0.2164 -4.9976
H -1.3324 5.2368 -0.4981
H -1.1090 -0.4651 -4.9786
C 1.8916 9.4841 -0.8748
C -8.0693 -4.4374 2.8622
C -0.7056 3.7952 -4.6101
C 0.3907 6.5941 -0.4621
F 3.5852 3.2076 2.0004
N -1.6506 1.5604 -5.7069
H 5.1358 -9.5720 1.3995
C 1.2079 1.1203 -0.3831
N 4.3838 -7.5565 2.0616
H -0.9275 2.3737 -7.6190
O 4.3296 -6.0842 -0.7416
H 2.4044 -7.3611 2.5786
F 1.2043 -3.2331 3.8057
F -0.8380 -1.2873 -2.9903
H 0.2189 -1.2081 -7.1911
O 4.3070 1.7566 -2.5366
F 0.5100 -5.1135 4.2081
O -1.7773 -3.2232 4.5824
H -2.0979 4.0237 1.5771
H 4.1227 -1.9342 1.6394
C -1.4357 -2.4977 -2.9603
O 3.7760 2.9953 -4.4636
H 6.1801 10.9585 -1.3208
C 5.2593 -8.5201 1.1421
H 2.5082 11.3436 -1.8309
H -8.4725 -3.9268 5.0607
S 6.4757 -3.5636 4.2426
O -2.3630 -4.6940 2.8148
O -3.7550 -1.2181 -3.7002
H 0.2699 4.1208 -4.2488
C -0.4864 2.3203 -4.8904
O 7.9067 -3.1937 4.5176
H -0.9150 4.2544 -5.5762
C -6.9435 -3.4445 2.7021
H -12.4939 -5.8243 3.4337
C -0.2036 1.6109 -0.9446
H -4.1329 0.5345 -6.1895
H 0.6717 -1.2849 -1.1908
H -2.4054 5.4921 2.6205
H -2.3782 0.3392 -0.0586
S 5.7530 -2.6147 -1.7956
H 2.4775 1.1324 3.0073
H 0.6203 -2.2009 0.3685
H -3.0336 -0.8242 3.1312
H 5.9287 -7.5086 3.5888
H 2.8296 -9.0605 2.1047
O 1.1570 0.3919 -6.4396
F -0.9718 -3.2266 -1.9802
F 3.9602 -3.4850 -3.6717
C 3.6483 8.1431 -0.0674
F 5.2354 -1.1745 5.0799
C -4.9096 -2.4158 3.6239
H 3.1636 -0.7399 -0.3951
H 2.8050 -7.8786 0.8336
C -1.8919 2.2857 -7.1187
C -6.7219 -2.6919 1.5556
H -4.0146 -2.5094 4.2211
O 5.5099 1.7358 3.1841
H 0.9432 1.5346 3.7127
H 0.3888 2.2975 -5.5398
C 2.7313 -0.5483 0.5870
C 3.0767 -1.6282 1.6583
C 4.6349 -6.0296 1.7374
H 1.2384 -0.5354 -4.5016
O 6.5550 -1.9551 -2.8636
O -7.1810 1.8086 0.7092
H 6.2820 -8.1504 1.2167
H 4.9441 -8.4627 0.1002
C 5.1739 -2.5201 5.3191
O 6.9156 3.6763 2.7716
H 4.3813 -5.5482 2.6818
C 3.9160 -2.8032 -2.5290
C 2.9747 -7.9991 1.9036
H 5.2018 -5.6997 -0.8555
H -4.1959 0.2150 2.0588
O -1.0071 1.8723 0.1217
H -10.3722 -6.0859 1.1566
O 5.6593 -1.7889 -0.5785
C 0.4128 -4.1041 3.3255
H 4.9178 -8.9286 3.6688
C 4.6091 9.1047 -0.4185
O -6.5806 2.5882 -1.5323
H -8.1885 -5.0226 0.8497
H -0.1780 0.2524 -7.8904
F 5.4440 -2.6937 6.5918
C 1.8535 -0.3244 -5.3764
H 5.7006 -5.9133 1.5402
H -2.4145 3.2387 -7.0365
C -0.0713 -0.1976 -6.9034
H -6.0474 -3.8063 4.6257
H 2.8963 -5.6359 0.5823
F -6.0287 4.8793 0.6365
H -0.6583 -0.9542 -0.0946
H 4.9361 11.6889 -2.3583
C -5.6818 -1.7546 1.4908
C -8.5507 -5.1791 1.8550
F 3.3846 3.8749 -0.8766
H 2.4852 -2.5228 1.4638
S -1.4647 -3.5376 3.2216
H -0.0276 6.2845 3.3784
O -1.4951 -2.4101 2.3253
C -2.3385 1.4273 -0.0090
C -8.7044 -4.4921 4.1702
C -2.9265 1.7009 -4.8159
N 4.1496 10.2497 -1.0300
C 1.0481 7.2382 1.7394
O -3.9860 -3.5298 -2.9102
H -10.5141 -5.1457 5.1688
H 5.6675 9.0717 -0.2062
S 3.2779 2.6476 -3.1301
C -9.9337 -5.1149 4.2585
H -0.3513 0.4289 1.8080
F 3.3937 -1.5367 -2.7121
N -4.8425 -1.6347 2.5047
C -5.2385 3.7936 0.4908
H -7.4829 -2.7581 0.7920
H 4.9811 12.1357 -0.6517
H 0.3828 6.8115 -1.5200
C 5.1528 11.3212 -1.3554
O 6.2555 -3.9986 -1.5306
O -5.0330 1.1696 -0.2535
F 4.4788 5.0855 2.2914
C -5.9794 -3.2852 3.6822
H -5.0464 1.3481 -4.9779
S -3.3399 -2.2292 -2.6746
C -4.1703 1.4610 -5.6166
C 0.1612 6.3088 2.3153
S -6.1179 2.1695 -0.2139
O -3.4279 -1.7728 -1.2838
F 3.8557 -2.9530 5.0188
H 1.3394 2.3187 2.3479
H 1.8036 0.8942 -1.2675
H -2.7762 0.9895 -4.0038
O 6.2035 -4.9681 4.5946
F -4.2337 4.0849 -0.2983
S 5.7554 3.0833 3.4936
H -1.1809 4.2444 2.9633
H -2.3891 1.6201 -7.8243
H -5.5257 -1.0476 0.6894
C 2.2561 8.3061 -0.2127
H -1.4689 4.1322 -3.9087
C -0.5901 5.7096 0.1279
C 0.3854 -1.2654 -0.1392
H 3.1179 0.4109 0.9316
H 4.0475 -4.3905 0.7307
H -0.6201 0.9233 -1.6806
C 1.2313 7.3753 0.3802
H -2.8813 2.6887 -4.3571
O 6.1893 -3.2880 2.8365
Please restate the material earlier on from the first line to the one with "-5.5257 -1.0476" word for word.
Formula: C52H82F21N7O24S7
Source: the OMol25 dataset
Level of theory: wB97M-V/def2-TZVPD

Structure (XYZ):
```
193
C52H82F21N7O24S7 wB97M-V/def2-TZVPD
C 2.7905 10.4383 -1.3140
H 0.8616 9.5958 -1.1796
N -10.4351 -5.7862 3.2074
C -11.6732 -6.5343 3.3315
H 2.7207 0.2164 -4.9976
H -1.3324 5.2368 -0.4981
H -1.1090 -0.4651 -4.9786
C 1.8916 9.4841 -0.8748
C -8.0693 -4.4374 2.8622
C -0.7056 3.7952 -4.6101
C 0.3907 6.5941 -0.4621
F 3.5852 3.2076 2.0004
N -1.6506 1.5604 -5.7069
H 5.1358 -9.5720 1.3995
C 1.2079 1.1203 -0.3831
N 4.3838 -7.5565 2.0616
H -0.9275 2.3737 -7.6190
O 4.3296 -6.0842 -0.7416
H 2.4044 -7.3611 2.5786
F 1.2043 -3.2331 3.8057
F -0.8380 -1.2873 -2.9903
H 0.2189 -1.2081 -7.1911
O 4.3070 1.7566 -2.5366
F 0.5100 -5.1135 4.2081
O -1.7773 -3.2232 4.5824
H -2.0979 4.0237 1.5771
H 4.1227 -1.9342 1.6394
C -1.4357 -2.4977 -2.9603
O 3.7760 2.9953 -4.4636
H 6.1801 10.9585 -1.3208
C 5.2593 -8.5201 1.1421
H 2.5082 11.3436 -1.8309
H -8.4725 -3.9268 5.0607
S 6.4757 -3.5636 4.2426
O -2.3630 -4.6940 2.8148
O -3.7550 -1.2181 -3.7002
H 0.2699 4.1208 -4.2488
C -0.4864 2.3203 -4.8904
O 7.9067 -3.1937 4.5176
H -0.9150 4.2544 -5.5762
C -6.9435 -3.4445 2.7021
H -12.4939 -5.8243 3.4337
C -0.2036 1.6109 -0.9446
H -4.1329 0.5345 -6.1895
H 0.6717 -1.2849 -1.1908
H -2.4054 5.4921 2.6205
H -2.3782 0.3392 -0.0586
S 5.7530 -2.6147 -1.7956
H 2.4775 1.1324 3.0073
H 0.6203 -2.2009 0.3685
H -3.0336 -0.8242 3.1312
H 5.9287 -7.5086 3.5888
H 2.8296 -9.0605 2.1047
O 1.1570 0.3919 -6.4396
F -0.9718 -3.2266 -1.9802
F 3.9602 -3.4850 -3.6717
C 3.6483 8.1431 -0.0674
F 5.2354 -1.1745 5.0799
C -4.9096 -2.4158 3.6239
H 3.1636 -0.7399 -0.3951
H 2.8050 -7.8786 0.8336
C -1.8919 2.2857 -7.1187
C -6.7219 -2.6919 1.5556
H -4.0146 -2.5094 4.2211
O 5.5099 1.7358 3.1841
H 0.9432 1.5346 3.7127
H 0.3888 2.2975 -5.5398
C 2.7313 -0.5483 0.5870
C 3.0767 -1.6282 1.6583
C 4.6349 -6.0296 1.7374
H 1.2384 -0.5354 -4.5016
O 6.5550 -1.9551 -2.8636
O -7.1810 1.8086 0.7092
H 6.2820 -8.1504 1.2167
H 4.9441 -8.4627 0.1002
C 5.1739 -2.5201 5.3191
O 6.9156 3.6763 2.7716
H 4.3813 -5.5482 2.6818
C 3.9160 -2.8032 -2.5290
C 2.9747 -7.9991 1.9036
H 5.2018 -5.6997 -0.8555
H -4.1959 0.2150 2.0588
O -1.0071 1.8723 0.1217
H -10.3722 -6.0859 1.1566
O 5.6593 -1.7889 -0.5785
C 0.4128 -4.1041 3.3255
H 4.9178 -8.9286 3.6688
C 4.6091 9.1047 -0.4185
O -6.5806 2.5882 -1.5323
H -8.1885 -5.0226 0.8497
H -0.1780 0.2524 -7.8904
F 5.4440 -2.6937 6.5918
C 1.8535 -0.3244 -5.3764
H 5.7006 -5.9133 1.5402
H -2.4145 3.2387 -7.0365
C -0.0713 -0.1976 -6.9034
H -6.0474 -3.8063 4.6257
H 2.8963 -5.6359 0.5823
F -6.0287 4.8793 0.6365
H -0.6583 -0.9542 -0.0946
H 4.9361 11.6889 -2.3583
C -5.6818 -1.7546 1.4908
C -8.5507 -5.1791 1.8550
F 3.3846 3.8749 -0.8766
H 2.4852 -2.5228 1.4638
S -1.4647 -3.5376 3.2216
H -0.0276 6.2845 3.3784
O -1.4951 -2.4101 2.3253
C -2.3385 1.4273 -0.0090
C -8.7044 -4.4921 4.1702
C -2.9265 1.7009 -4.8159
N 4.1496 10.2497 -1.0300
C 1.0481 7.2382 1.7394
O -3.9860 -3.5298 -2.9102
H -10.5141 -5.1457 5.1688
H 5.6675 9.0717 -0.2062
S 3.2779 2.6476 -3.1301
C -9.9337 -5.1149 4.2585
H -0.3513 0.4289 1.8080
F 3.3937 -1.5367 -2.7121
N -4.8425 -1.6347 2.5047
C -5.2385 3.7936 0.4908
H -7.4829 -2.7581 0.7920
H 4.9811 12.1357 -0.6517
H 0.3828 6.8115 -1.5200
C 5.1528 11.3212 -1.3554
O 6.2555 -3.9986 -1.5306
O -5.0330 1.1696 -0.2535
F 4.4788 5.0855 2.2914
C -5.9794 -3.2852 3.6822
H -5.0464 1.3481 -4.9779
S -3.3399 -2.2292 -2.6746
C -4.1703 1.4610 -5.6166
C 0.1612 6.3088 2.3153
S -6.1179 2.1695 -0.2139
O -3.4279 -1.7728 -1.2838
F 3.8557 -2.9530 5.0188
H 1.3394 2.3187 2.3479
H 1.8036 0.8942 -1.2675
H -2.7762 0.9895 -4.0038
O 6.2035 -4.9681 4.5946
F -4.2337 4.0849 -0.2983
S 5.7554 3.0833 3.4936
H -1.1809 4.2444 2.9633
H -2.3891 1.6201 -7.8243
H -5.5257 -1.0476 0.6894